Job:
Could you copy only the lines underneath with the word "composition" in them?

Material:
Entry 1:
ORCA calculation (ωB97M-V with the def2-TZVPD basis set) on an isolated molecule of C6H7FO in a non-equilibrium geometry.

Element x y z (Å)
C 2.902 -0.629 -0.019
C 1.506 -0.045 -0.036
C 1.154 1.264 0.025
C -0.304 1.328 0.051
C -0.603 -0.027 -0.063
C -1.846 -0.836 0.261
F -2.994 0.081 -0.204
O 0.443 -0.828 -0.077
H 3.105 -1.070 -1.063
H 3.510 0.392 0.182
H 3.229 -1.473 0.673
H 1.809 2.201 0.431
H -0.940 2.291 -0.029
H -1.922 -1.624 -0.496
H -2.241 -1.139 1.445

Calculated values
Maximum force: 4.4 eV/Å
HOMO energy: -0.3149 Eh
Charge: 0
SMILES: Cc1ccc(CF)o1
Kohn-Sham gap: 9.481 eV
E_tot: -11097.435 eV
Spin multiplicity: 1

---

Entry 2:
ORCA calculation (ωB97M-V with the def2-TZVPD basis set) on a cluster of 2 separate species, C3H9NO in total in a non-equilibrium geometry.

Element x y z (Å)
C -2.194 0.116 -0.166
N -0.992 0.438 0.194
C -0.079 -0.629 0.832
C 1.423 -0.815 0.379
H -2.630 -0.896 0.120
H -2.615 0.735 -0.964
H -0.490 -1.613 0.613
H -0.137 -0.490 1.930
H 1.838 -1.819 0.565
H 2.014 -0.003 0.789
H 1.344 -0.443 -0.655
O 1.068 2.092 -1.457
H 0.319 2.273 -0.794
H 1.131 1.054 -1.387

Calculated values
Maximum force: 3.4 eV/Å
HOMO energy: -0.3622 Eh
Charge: 0
SMILES: C=NCC.O
Kohn-Sham gap: 10.781 eV
E_tot: -6792.573 eV
Spin multiplicity: 1

---

Entry 3:
ORCA calculation (ωB97M-V with the def2-TZVPD basis set) on a cluster of 2 separate species, C4H10O in total in a non-equilibrium geometry.

Element x y z (Å)
C -0.120 0.609 -2.010
C -0.291 -0.516 -0.978
C -1.283 -0.104 0.105
C -0.795 0.500 1.190
H 0.287 1.517 -1.568
H 0.621 0.287 -2.740
H -1.067 0.863 -2.492
H 0.669 -0.751 -0.504
H -0.486 -1.484 -1.429
H -2.301 -0.368 -0.159
H -1.359 0.715 2.089
H 0.225 0.848 1.166
H 1.977 -1.033 1.747
H 1.915 -0.802 3.210
O 2.008 -0.282 2.373

Calculated values
Maximum force: 1.4 eV/Å
HOMO energy (spin up / spin down): 0.0414 / -0.2128 Eh
⟨S²⟩: 0.750
Charge: -1
Kohn-Sham gap (spin up / spin down): 2.870 / 9.670 eV
E_tot: -6355.403 eV
Spin multiplicity: 2

---

Entry 4:
ORCA calculation (ωB97M-V with the def2-TZVPD basis set) on a structure of composition CH3IOS2 in a non-equilibrium geometry.

Element x y z (Å)
C 0.500 0.666 -0.446
O -0.165 -1.823 -0.332
S -2.391 -0.126 0.277
S -0.551 -0.606 0.328
I 2.434 0.550 0.390
H 0.407 0.405 -1.549
H -0.057 1.711 -0.314
H -0.177 -0.777 1.645

Calculated values
Maximum force: 2.9 eV/Å
HOMO energy: -0.3546 Eh
Charge: 0
Kohn-Sham gap: 9.425 eV
E_tot: -32902.184 eV
Spin multiplicity: 1

---

Please write out number 2 again, unchanged.
ORCA calculation (ωB97M-V with the def2-TZVPD basis set) on a cluster of 2 separate species, C3H9NO in total in a non-equilibrium geometry.

Element x y z (Å)
C -2.194 0.116 -0.166
N -0.992 0.438 0.194
C -0.079 -0.629 0.832
C 1.423 -0.815 0.379
H -2.630 -0.896 0.120
H -2.615 0.735 -0.964
H -0.490 -1.613 0.613
H -0.137 -0.490 1.930
H 1.838 -1.819 0.565
H 2.014 -0.003 0.789
H 1.344 -0.443 -0.655
O 1.068 2.092 -1.457
H 0.319 2.273 -0.794
H 1.131 1.054 -1.387

Calculated values
Maximum force: 3.4 eV/Å
HOMO energy: -0.3622 Eh
Charge: 0
SMILES: C=NCC.O
Kohn-Sham gap: 10.781 eV
E_tot: -6792.573 eV
Spin multiplicity: 1

---

Question: What is the spin multiplicity in the second record?
Answer: 1

---

Question: Number 3 is which compound?
Answer: C4H10O

----------

<1>
Entry from OMol25: an isolated ion of composition C7H10N3S and charge +1 (the ωB97M-V functional and the def2-TZVPD basis).

Geometry as ORCA input:
```
! RIJCOSX wB97M-V def2-TZVPD def2/J DEFGRID3
* xyz 1 1
C 0.991 -2.032 1.282
C 0.105 -1.130 0.958
N -0.018 -0.616 -0.381
N 0.332 0.830 -0.430
C -0.613 1.748 0.052
C -0.230 3.191 0.023
N -1.808 1.334 0.423
C -2.210 0.098 0.078
S -3.684 -0.446 0.501
C -1.473 -0.853 -0.683
C -1.841 -1.813 -1.514
H 1.002 -2.304 2.293
H 1.876 -2.307 0.646
H -0.534 -0.598 1.686
H 0.765 -1.054 -0.974
H 1.353 0.873 -0.364
H 0.297 3.196 1.003
H -1.083 3.871 0.204
H 0.456 3.584 -0.796
H -1.040 -2.402 -1.978
H -2.864 -1.988 -1.951
*
```

Calculated values
Kohn-Sham gap	0.2716	Ha

Done:
ORCA calculation (ωB97M-V with the def2-TZVPD basis set) on a structure of composition CH3IOS2 in a non-equilibrium geometry.
Entry from OMol25: an isolated ion of composition C7H10N3S and charge +1 (the ωB97M-V functional and the def2-TZVPD basis).